## Listing
/*
Computed, not measured: an optimized crystal structure of DyB2Ir2 at the meta-GGA r2SCAN level of DFT.

Output
M_tot   0.0000 μB per atom
VASP energy   -155.65 eV per formula unit

Lattice parameters (Å, degrees): 5.453 5.453 6.198 103.87 103.87 117.06
Sites, in units of the cell vectors:
Dy 0.750 0.250 0.500
Dy 0.000 0.000 0.000
B 0.070 0.930 0.500
B 0.680 0.320 0.000
B 0.430 0.570 0.500
B 0.320 0.680 0.000
Ir 0.124 0.624 0.247
Ir 0.376 0.876 0.753
Ir 0.626 0.626 0.253
Ir 0.374 0.374 0.747

----------

Record 1
Material: Si2H18C7N2
Method: DFT, PBE
State: relaxed

**Magnetization**: 0.0 μB/cell
**SG**: P2_1/c, No. 14
**ΔE_f**: -0.248 eV/atom

a b c (Å): 10.013 11.478 12.289
angles (deg): 90.00 102.59 90.00
Positions (direct):
Si 0.010 0.044 0.268
Si 0.010 0.456 0.768
Si 0.436 0.733 0.033
Si 0.436 0.767 0.533
Si 0.564 0.233 0.467
Si 0.564 0.267 0.967
Si 0.990 0.544 0.232
Si 0.990 0.956 0.732
H 0.005 0.187 0.115
H 0.005 0.313 0.615
H 0.037 0.611 0.051
H 0.037 0.889 0.551
H 0.068 0.724 0.153
H 0.068 0.776 0.653
H 0.079 0.053 0.085
H 0.079 0.447 0.585
H 0.102 0.189 0.416
H 0.102 0.311 0.916
H 0.156 0.087 0.854
H 0.156 0.413 0.354
H 0.177 0.153 0.182
H 0.177 0.347 0.682
H 0.198 0.071 0.721
H 0.198 0.429 0.221
H 0.237 0.542 0.323
H 0.237 0.958 0.823
H 0.301 0.646 0.639
H 0.301 0.854 0.139
H 0.324 0.214 0.972
H 0.324 0.286 0.472
H 0.364 0.560 0.540
H 0.364 0.940 0.040
H 0.391 0.183 0.578
H 0.391 0.317 0.078
H 0.395 0.595 0.179
H 0.395 0.905 0.679
H 0.430 0.136 0.297
H 0.430 0.364 0.797
H 0.440 0.168 0.096
H 0.440 0.332 0.596
H 0.475 0.602 0.668
H 0.475 0.898 0.168
H 0.496 0.031 0.401
H 0.496 0.469 0.901
H 0.504 0.531 0.099
H 0.504 0.969 0.599
H 0.525 0.102 0.832
H 0.525 0.398 0.332
H 0.560 0.668 0.404
H 0.560 0.832 0.904
H 0.570 0.636 0.203
H 0.570 0.864 0.703
H 0.605 0.095 0.321
H 0.605 0.405 0.821
H 0.609 0.683 0.922
H 0.609 0.817 0.422
H 0.636 0.060 0.960
H 0.636 0.440 0.460
H 0.676 0.714 0.528
H 0.676 0.786 0.028
H 0.699 0.146 0.861
H 0.699 0.354 0.361
H 0.763 0.042 0.177
H 0.763 0.458 0.677
H 0.802 0.571 0.779
H 0.802 0.929 0.279
H 0.823 0.653 0.318
H 0.823 0.847 0.818
H 0.844 0.587 0.646
H 0.844 0.913 0.146
H 0.898 0.689 0.084
H 0.898 0.811 0.584
H 0.921 0.553 0.415
H 0.921 0.947 0.915
H 0.932 0.224 0.347
H 0.932 0.276 0.847
H 0.963 0.111 0.449
H 0.963 0.389 0.949
H 0.995 0.687 0.385
H 0.995 0.813 0.885
C 0.001 0.152 0.381
C 0.001 0.348 0.881
C 0.074 0.116 0.152
C 0.074 0.384 0.652
C 0.161 0.025 0.787
C 0.161 0.475 0.287
C 0.211 0.626 0.879
C 0.211 0.874 0.379
C 0.390 0.632 0.601
C 0.390 0.868 0.101
C 0.416 0.239 0.035
C 0.416 0.261 0.535
C 0.480 0.612 0.138
C 0.480 0.888 0.638
C 0.520 0.112 0.362
C 0.520 0.388 0.862
C 0.584 0.739 0.465
C 0.584 0.761 0.965
C 0.610 0.132 0.899
C 0.610 0.368 0.399
C 0.789 0.126 0.621
C 0.789 0.374 0.121
C 0.839 0.525 0.713
C 0.839 0.975 0.213
C 0.926 0.616 0.348
C 0.926 0.884 0.848
C 0.999 0.652 0.119
C 0.999 0.848 0.619
N 0.122 0.566 0.823
N 0.122 0.934 0.323
N 0.297 0.693 0.930
N 0.297 0.807 0.430
N 0.703 0.193 0.570
N 0.703 0.307 0.070
N 0.878 0.066 0.677
N 0.878 0.434 0.177

Record 2
Material: TaSi2H35C12N4
Method: DFT, PBE
State: relaxed

**Magnetization**: 0.0 μB/cell
**SG**: P-1, No. 2
**ΔE_f**: -0.226 eV/atom
**Polymorph energy (0 for the lowest one)**: 0.00 kJ/mol of atoms

a b c (Å): 8.346 10.255 14.748
angles (deg): 71.37 87.51 67.54
Positions (direct):
Ta 0.194 0.077 0.190
Ta 0.806 0.923 0.810
Si 0.180 0.787 0.392
Si 0.442 0.766 0.230
Si 0.558 0.234 0.770
Si 0.820 0.213 0.608
H 0.013 0.248 0.981
H 0.019 0.370 0.231
H 0.028 0.897 0.130
H 0.034 0.970 0.596
H 0.051 0.417 0.943
H 0.058 0.298 0.359
H 0.071 0.627 0.336
H 0.095 0.570 0.464
H 0.099 0.119 0.535
H 0.132 0.041 0.662
H 0.165 0.674 0.843
H 0.167 0.961 0.938
H 0.168 0.050 0.813
H 0.194 0.381 0.289
H 0.212 0.249 0.933
H 0.237 0.376 0.734
H 0.258 0.446 0.026
H 0.269 0.711 0.929
H 0.276 0.686 0.568
H 0.281 0.519 0.400
H 0.293 0.783 0.804
H 0.296 0.663 0.141
H 0.310 0.241 0.675
H 0.323 0.847 0.511
H 0.342 0.411 0.627
*/
## Activity
Set down everything earlier on with every line break kept.
## Response
Computed, not measured: an optimized crystal structure of DyB2Ir2 at the meta-GGA r2SCAN level of DFT.

Output
M_tot   0.0000 μB per atom
VASP energy   -155.65 eV per formula unit

Lattice parameters (Å, degrees): 5.453 5.453 6.198 103.87 103.87 117.06
Sites, in units of the cell vectors:
Dy 0.750 0.250 0.500
Dy 0.000 0.000 0.000
B 0.070 0.930 0.500
B 0.680 0.320 0.000
B 0.430 0.570 0.500
B 0.320 0.680 0.000
Ir 0.124 0.624 0.247
Ir 0.376 0.876 0.753
Ir 0.626 0.626 0.253
Ir 0.374 0.374 0.747

----------

Record 1
Material: Si2H18C7N2
Method: DFT, PBE
State: relaxed

**Magnetization**: 0.0 μB/cell
**SG**: P2_1/c, No. 14
**ΔE_f**: -0.248 eV/atom

a b c (Å): 10.013 11.478 12.289
angles (deg): 90.00 102.59 90.00
Positions (direct):
Si 0.010 0.044 0.268
Si 0.010 0.456 0.768
Si 0.436 0.733 0.033
Si 0.436 0.767 0.533
Si 0.564 0.233 0.467
Si 0.564 0.267 0.967
Si 0.990 0.544 0.232
Si 0.990 0.956 0.732
H 0.005 0.187 0.115
H 0.005 0.313 0.615
H 0.037 0.611 0.051
H 0.037 0.889 0.551
H 0.068 0.724 0.153
H 0.068 0.776 0.653
H 0.079 0.053 0.085
H 0.079 0.447 0.585
H 0.102 0.189 0.416
H 0.102 0.311 0.916
H 0.156 0.087 0.854
H 0.156 0.413 0.354
H 0.177 0.153 0.182
H 0.177 0.347 0.682
H 0.198 0.071 0.721
H 0.198 0.429 0.221
H 0.237 0.542 0.323
H 0.237 0.958 0.823
H 0.301 0.646 0.639
H 0.301 0.854 0.139
H 0.324 0.214 0.972
H 0.324 0.286 0.472
H 0.364 0.560 0.540
H 0.364 0.940 0.040
H 0.391 0.183 0.578
H 0.391 0.317 0.078
H 0.395 0.595 0.179
H 0.395 0.905 0.679
H 0.430 0.136 0.297
H 0.430 0.364 0.797
H 0.440 0.168 0.096
H 0.440 0.332 0.596
H 0.475 0.602 0.668
H 0.475 0.898 0.168
H 0.496 0.031 0.401
H 0.496 0.469 0.901
H 0.504 0.531 0.099
H 0.504 0.969 0.599
H 0.525 0.102 0.832
H 0.525 0.398 0.332
H 0.560 0.668 0.404
H 0.560 0.832 0.904
H 0.570 0.636 0.203
H 0.570 0.864 0.703
H 0.605 0.095 0.321
H 0.605 0.405 0.821
H 0.609 0.683 0.922
H 0.609 0.817 0.422
H 0.636 0.060 0.960
H 0.636 0.440 0.460
H 0.676 0.714 0.528
H 0.676 0.786 0.028
H 0.699 0.146 0.861
H 0.699 0.354 0.361
H 0.763 0.042 0.177
H 0.763 0.458 0.677
H 0.802 0.571 0.779
H 0.802 0.929 0.279
H 0.823 0.653 0.318
H 0.823 0.847 0.818
H 0.844 0.587 0.646
H 0.844 0.913 0.146
H 0.898 0.689 0.084
H 0.898 0.811 0.584
H 0.921 0.553 0.415
H 0.921 0.947 0.915
H 0.932 0.224 0.347
H 0.932 0.276 0.847
H 0.963 0.111 0.449
H 0.963 0.389 0.949
H 0.995 0.687 0.385
H 0.995 0.813 0.885
C 0.001 0.152 0.381
C 0.001 0.348 0.881
C 0.074 0.116 0.152
C 0.074 0.384 0.652
C 0.161 0.025 0.787
C 0.161 0.475 0.287
C 0.211 0.626 0.879
C 0.211 0.874 0.379
C 0.390 0.632 0.601
C 0.390 0.868 0.101
C 0.416 0.239 0.035
C 0.416 0.261 0.535
C 0.480 0.612 0.138
C 0.480 0.888 0.638
C 0.520 0.112 0.362
C 0.520 0.388 0.862
C 0.584 0.739 0.465
C 0.584 0.761 0.965
C 0.610 0.132 0.899
C 0.610 0.368 0.399
C 0.789 0.126 0.621
C 0.789 0.374 0.121
C 0.839 0.525 0.713
C 0.839 0.975 0.213
C 0.926 0.616 0.348
C 0.926 0.884 0.848
C 0.999 0.652 0.119
C 0.999 0.848 0.619
N 0.122 0.566 0.823
N 0.122 0.934 0.323
N 0.297 0.693 0.930
N 0.297 0.807 0.430
N 0.703 0.193 0.570
N 0.703 0.307 0.070
N 0.878 0.066 0.677
N 0.878 0.434 0.177

Record 2
Material: TaSi2H35C12N4
Method: DFT, PBE
State: relaxed

**Magnetization**: 0.0 μB/cell
**SG**: P-1, No. 2
**ΔE_f**: -0.226 eV/atom
**Polymorph energy (0 for the lowest one)**: 0.00 kJ/mol of atoms

a b c (Å): 8.346 10.255 14.748
angles (deg): 71.37 87.51 67.54
Positions (direct):
Ta 0.194 0.077 0.190
Ta 0.806 0.923 0.810
Si 0.180 0.787 0.392
Si 0.442 0.766 0.230
Si 0.558 0.234 0.770
Si 0.820 0.213 0.608
H 0.013 0.248 0.981
H 0.019 0.370 0.231
H 0.028 0.897 0.130
H 0.034 0.970 0.596
H 0.051 0.417 0.943
H 0.058 0.298 0.359
H 0.071 0.627 0.336
H 0.095 0.570 0.464
H 0.099 0.119 0.535
H 0.132 0.041 0.662
H 0.165 0.674 0.843
H 0.167 0.961 0.938
H 0.168 0.050 0.813
H 0.194 0.381 0.289
H 0.212 0.249 0.933
H 0.237 0.376 0.734
H 0.258 0.446 0.026
H 0.269 0.711 0.929
H 0.276 0.686 0.568
H 0.281 0.519 0.400
H 0.293 0.783 0.804
H 0.296 0.663 0.141
H 0.310 0.241 0.675
H 0.323 0.847 0.511
H 0.342 0.411 0.627